## Work order
Write out the lines underneath up to the one that holds "-3.025 -1.554", that line included.
## Data
********
ORCA calculation (the ωB97M-V functional and the def2-TZVPD basis) on an isolated molecule of C13H17F2N5O3 in a non-equilibrium geometry.

Its energy is -32783.936 eV. The calculation puts the HOMO energy at -9.63 eV. The multiplicity is 1. For the LUMO energy, the calculation gives 0.31 eV. The calculation puts the molar mass at 329.31 u. As for the HOMO-LUMO gap: 0.366 hartree.

The geometry in XYZ format:
```
40
Properties=species:S:1:pos:R:3:lowdin_charge:R:1
O 1.588 3.316 2.184 0.074
O 0.699 0.749 -1.531 0.039
F 2.811 -3.780 -0.947 0.069
F 3.753 -3.012 -2.880 0.086
N -1.565 1.901 3.393 0.077
N -2.393 1.344 2.559 0.022
O 0.892 3.415 4.382 -0.037
C 0.772 3.029 3.075 -0.393
C 0.081 -0.297 -1.769 -0.339
C -0.408 2.197 2.678 -0.166
C -0.592 1.707 1.412 0.006
N 0.809 -1.484 -1.873 -0.036
N -1.868 1.238 1.331 -0.074
N -2.169 -1.379 -1.147 -0.021
C 2.108 4.081 4.725 -0.064
C 0.245 -2.753 -2.357 -0.143
C 2.244 -1.573 -1.691 -0.028
C 1.427 -3.593 -2.808 -0.058
C 2.653 -3.008 -2.077 -0.474
C -2.252 -0.973 0.278 -0.130
C -2.134 0.990 -1.157 -0.068
C -2.541 0.518 0.230 -0.238
C -1.484 -0.267 -1.872 -0.185
H 0.098 1.802 0.599 0.116
H -3.094 -1.530 -1.526 0.111
H 2.993 3.511 4.428 0.093
H 2.130 4.154 5.836 0.101
H 2.181 5.089 4.315 0.092
H -0.495 -2.614 -3.206 0.139
H -0.284 -3.191 -1.480 0.122
H 2.785 -0.878 -2.339 0.140
H 2.476 -1.398 -0.634 0.144
H 1.627 -3.542 -3.873 0.124
H 1.242 -4.624 -2.528 0.122
H -3.025 -1.554 0.784 0.123
H -1.322 -1.164 0.826 0.127
H -3.060 1.271 -1.681 0.121
H -1.491 1.867 -1.107 0.109
H -3.611 0.684 0.370 0.147
H -1.824 -0.247 -2.921 0.150
```
********
## Result
ORCA calculation (the ωB97M-V functional and the def2-TZVPD basis) on an isolated molecule of C13H17F2N5O3 in a non-equilibrium geometry.

Its energy is -32783.936 eV. The calculation puts the HOMO energy at -9.63 eV. The multiplicity is 1. For the LUMO energy, the calculation gives 0.31 eV. The calculation puts the molar mass at 329.31 u. As for the HOMO-LUMO gap: 0.366 hartree.

The geometry in XYZ format:
```
40
Properties=species:S:1:pos:R:3:lowdin_charge:R:1
O 1.588 3.316 2.184 0.074
O 0.699 0.749 -1.531 0.039
F 2.811 -3.780 -0.947 0.069
F 3.753 -3.012 -2.880 0.086
N -1.565 1.901 3.393 0.077
N -2.393 1.344 2.559 0.022
O 0.892 3.415 4.382 -0.037
C 0.772 3.029 3.075 -0.393
C 0.081 -0.297 -1.769 -0.339
C -0.408 2.197 2.678 -0.166
C -0.592 1.707 1.412 0.006
N 0.809 -1.484 -1.873 -0.036
N -1.868 1.238 1.331 -0.074
N -2.169 -1.379 -1.147 -0.021
C 2.108 4.081 4.725 -0.064
C 0.245 -2.753 -2.357 -0.143
C 2.244 -1.573 -1.691 -0.028
C 1.427 -3.593 -2.808 -0.058
C 2.653 -3.008 -2.077 -0.474
C -2.252 -0.973 0.278 -0.130
C -2.134 0.990 -1.157 -0.068
C -2.541 0.518 0.230 -0.238
C -1.484 -0.267 -1.872 -0.185
H 0.098 1.802 0.599 0.116
H -3.094 -1.530 -1.526 0.111
H 2.993 3.511 4.428 0.093
H 2.130 4.154 5.836 0.101
H 2.181 5.089 4.315 0.092
H -0.495 -2.614 -3.206 0.139
H -0.284 -3.191 -1.480 0.122
H 2.785 -0.878 -2.339 0.140
H 2.476 -1.398 -0.634 0.144
H 1.627 -3.542 -3.873 0.124
H 1.242 -4.624 -2.528 0.122
H -3.025 -1.554 0.784 0.123